Forest Fire Alerts System 3.0

Registration Updated Successfully!!

Fire Alert Dissemination Status for MODIS

Last Satellite Pass
Last Mail Recevied from NRSC
Last Mail Sent from FSI
Last SMS Sent

Fire Alert Dissemination Status for SNPP - VIIRS

Last Satellite Pass
Last Mail Recevied from NRSC
Last Mail Sent from FSI
Last SMS Sent

Fire Alert Dissemination Log

Total SMS Alert Sent *
25265 | 185975
Total Registration
Total SMS Sent only showing Count of SMS Sent till date. Actual No. of SMS will increase depending on No. of Characters per SMS.

Forest fire is one of the major cause of degradation of forests in our country. Precious forest resources and carbon is lost which has an impact on the flow of goods and services from the forest areas. FSI, has been alerting State Forest Departments and other registered uses of forest fire locations detected by the MODIS sensor onboard Aqua and Terra Satellites of NASA since 2004.

From 2017, FSI has also started disseminating alerts obtained from SNPP-VIIRS sensor, which has a better resolution (375 m X 375 m) compared to MODIS (1 km X 1 km). Alerts are disseminated upto Beat level in the case of 10 states namely Andhra Pradesh, Bihar, Himachal Pradesh, Jharkhand, Karnataka, Maharashtra, Mizoram, Punjab, Telangana & Tripura and upto Range Level for Kerala. In case of other States/UT’s, alerts are sent upto District level in the absence of Administrative boundary information from State Forest Departments.

Registered users receive SMS and Email alerts having geo-coordinates of the fire location as well as a weblink to view it on their browser. In addition, every alert is accompanied by a feedback form, which can be filled by the user online. Registered users can now modify their profile, area option as well as delete their profile, as may be needed.

Kindly provide your suggestion to

### What comes next are quantum chemistry results, not part of the piece
........
## 1
Formula: C3H4NO
Source: the Open Molecules 2025 dataset
Level of theory: the ωB97M-V functional and the def2-TZVPD basis

The geometry in ORCA input format:
```
! wB97M-V def2-TZVPD RIJCOSX def2/J DEFGRID3
* xyz 1 1
C -0.163 -1.281 -0.421
C 1.181 0.491 0.028
C -0.799 0.669 0.484
N -1.051 -0.546 -0.035
O 1.130 -0.643 -0.506
H -0.447 -2.216 -0.831
H 1.974 1.141 0.042
H -0.952 0.822 1.527
H -0.872 1.564 -0.289
*
```

## 2
Formula: C3H4NO
Source: the Open Molecules 2025 dataset
Level of theory: the ωB97M-V functional and the def2-TZVPD basis

The geometry in ORCA input format:
```
! wB97M-V def2-TZVPD RIJCOSX def2/J DEFGRID3
* xyz 1 1
C 0.365 0.253 1.314
C 0.953 -0.234 0.259
C -0.292 -0.552 -1.042
N -1.085 0.334 -1.219
O -1.812 1.168 -1.590
H 0.979 0.746 2.088
H -0.608 0.300 1.694
H 1.876 -0.371 -0.343
H -0.377 -1.643 -1.161
*
```

- SMILES: C=CC=[N+]=O

## 3
Formula: C3H4NO
Source: the Open Molecules 2025 dataset
Level of theory: the ωB97M-V functional and the def2-TZVPD basis

The geometry in ORCA input format:
```
! wB97M-V def2-TZVPD RIJCOSX def2/J DEFGRID3
* xyz 1 1
C 0.018 -0.371 -1.060
C -1.516 -0.665 0.711
C 0.824 0.398 -0.178
N 0.563 0.892 0.891
O -0.996 -0.943 -0.391
H 0.251 -1.012 -1.895
H 1.239 1.615 1.078
H -2.063 -0.649 1.614
H 1.678 0.735 -0.771
*
```

Stability ranking, top and bottom: 1 is the most stable and 3 is the least stable.

## 1
Formula: C3H2ClNOS
Source: the Open Molecules 2025 dataset
Level of theory: the ωB97M-V functional and the def2-TZVPD basis

The geometry in ORCA input format:
```
! wB97M-V def2-TZVPD RIJCOSX def2/J DEFGRID3
* xyz 0 1
S 2.715 -0.876 -0.100
C 1.194 -0.246 0.092
N 0.027 -0.917 0.287
C -0.947 0.099 0.117
Cl -2.569 -0.816 -0.090
C -0.393 1.297 -0.094
O 0.891 1.086 0.000
H -0.223 -1.984 -0.153
H -0.696 2.357 -0.059
*
```

- SMILES: S=c1[nH]c(Cl)co1

## 2
Formula: C3H2ClNOS
Source: the Open Molecules 2025 dataset
Level of theory: the ωB97M-V functional and the def2-TZVPD basis

The geometry in ORCA input format:
```
! wB97M-V def2-TZVPD RIJCOSX def2/J DEFGRID3
* xyz 0 1
O 0.991 2.305 1.074
C 0.295 1.639 0.358
S -1.463 1.293 0.492
C 0.155 0.598 -0.653
C 0.105 -0.819 -0.279
N -0.109 -1.242 0.886
Cl -0.628 -2.817 0.945
H 0.270 0.613 -1.767
H 0.386 -1.571 -1.057
*
```

- SMILES: O=C1S[C@@H]1/C=N/Cl

## 3
Formula: C3H2ClNOS
Source: the Open Molecules 2025 dataset
Level of theory: the ωB97M-V functional and the def2-TZVPD basis

The geometry in ORCA input format:
```
! wB97M-V def2-TZVPD RIJCOSX def2/J DEFGRID3
* xyz 0 1
S -0.526 2.311 0.524
C -0.228 0.576 0.196
O -0.858 -0.330 0.947
N -0.517 -1.626 0.520
C 0.375 -1.396 -0.398
C 0.636 0.005 -0.641
Cl 1.754 0.722 -1.664
H -1.478 1.985 1.402
H 0.843 -2.247 -0.887
*
```

- SMILES: Sc1oncc1Cl

## 4
Formula: C3H2ClNOS
Source: the Open Molecules 2025 dataset
Level of theory: the ωB97M-V functional and the def2-TZVPD basis

The geometry in ORCA input format:
```
! wB97M-V def2-TZVPD RIJCOSX def2/J DEFGRID3
* xyz 0 1
S -1.502 0.066 -1.884
C -0.432 -0.078 -0.518
........

For any enquiries - 0135-2754191 Ex-272

┌──
# C45H87FNO7

8 unconnected molecules or ions with the total composition C45H87FNO7 in a non-equilibrium geometry (ωB97M-V/def2-TZVPD, the Open Molecules 2025 dataset).

Summary:
F_max = 2.70 eV/Å
DFT total energy = -2447.619533 Ha
HOMO-LUMO gap = 5.583 eV
LUMO energy = -3.594 eV

ORCA input file:
```
! RIJCOSX wB97M-V def2-TZVPD def2/J DEFGRID3
* xyz 1 1
C 4.61 4.23 1.55
C 4.71 2.65 1.47
C 3.44 1.95 0.85
F 3.46 2.08 -0.56
C 3.41 0.43 1.28
N 4.37 -0.15 1.95
C 4.27 -1.60 2.33
C 2.75 -1.93 2.02
C 2.36 -0.74 1.02
C 0.81 -0.52 1.32
C -0.04 -0.03 0.05
C -1.18 0.91 0.66
C -1.88 1.81 -0.43
C -2.27 0.08 1.43
C -2.38 0.39 2.99
C -2.35 1.92 3.35
C -1.16 2.58 3.76
C -0.48 3.75 2.96
C -0.40 2.12 5.09
H 4.82 4.58 2.60
H 5.45 4.66 0.92
H 3.62 4.66 1.26
H 5.66 2.39 0.94
H 4.82 2.25 2.52
H 2.51 2.44 1.24
H 5.25 0.25 2.29
H 5.03 -2.27 1.86
H 4.28 -1.55 3.46
H 2.54 -2.95 1.60
H 2.18 -1.95 2.99
H 2.51 -1.17 0.00
H 0.39 -1.54 1.57
H 0.60 0.13 2.22
H -0.58 -0.87 -0.46
H 0.62 0.52 -0.68
H -0.62 1.63 1.33
H -2.62 2.47 0.13
H -2.49 1.24 -1.18
H -1.13 2.48 -0.94
H -3.25 0.15 0.88
H -1.97 -1.01 1.35
H -3.41 0.00 3.33
H -1.63 -0.18 3.60
H -3.28 2.52 3.25
H -0.75 3.69 1.87
H -0.76 4.78 3.31
H 0.63 3.56 2.99
H -1.11 2.24 5.93
H -0.06 1.05 4.95
H 0.54 2.73 5.19
C 9.24 -1.44 -0.11
C 8.31 -1.07 -1.24
C 7.13 -0.48 -0.51
O 7.64 0.11 0.70
C 9.00 -0.32 0.88
H 10.28 -1.53 -0.40
H 8.92 -2.40 0.33
H 8.78 -0.30 -1.87
H 8.04 -1.91 -1.89
H 6.41 -1.26 -0.22
H 6.60 0.28 -1.09
H 9.65 0.54 0.67
H 9.15 -0.62 1.92
C 2.14 1.50 -5.39
C 2.79 1.53 -4.02
C 1.69 0.94 -3.14
O 0.96 0.02 -3.96
C 1.35 0.21 -5.33
H 2.86 1.52 -6.21
H 1.46 2.35 -5.50
H 3.67 0.88 -4.01
H 3.09 2.53 -3.70
H 1.00 1.71 -2.80
H 2.09 0.42 -2.27
H 1.96 -0.65 -5.63
H 0.46 0.24 -5.96
C 3.68 -5.44 6.37
C 5.10 -5.66 5.89
C 5.06 -5.04 4.50
O 4.09 -3.98 4.55
C 3.34 -4.09 5.77
H 3.58 -5.47 7.45
H 3.03 -6.21 5.95
H 5.80 -5.10 6.52
H 5.41 -6.70 5.88
H 4.73 -5.76 3.75
H 6.03 -4.63 4.19
H 3.66 -3.28 6.43
H 2.28 -3.98 5.56
C -2.34 4.56 -5.05
C -2.76 3.32 -5.81
C -1.85 3.36 -7.02
O -0.63 4.00 -6.60
C -0.84 4.59 -5.31
H -2.58 4.53 -3.99
H -2.81 5.44 -5.49
H -2.55 2.42 -5.21
H -3.82 3.30 -6.07
H -2.28 3.96 -7.83
H -1.63 2.36 -7.41
H -0.30 3.99 -4.58
H -0.43 5.60 -5.30
C -4.56 -4.87 0.90
C -5.28 -3.62 1.36
C -4.23 -2.96 2.23
O -2.95 -3.33 1.69
C -3.14 -4.37 0.73
H -4.98 -5.30 -0.02
H -4.61 -5.63 1.68
H -5.51 -2.98 0.50
H -6.21 -3.82 1.89
H -4.28 -3.33 3.26
H -4.32 -1.87 2.25
H -2.98 -3.95 -0.27
H -2.40 -5.16 0.90
C -5.24 -0.20 -9.21
C -6.18 0.87 -8.70
C -5.71 1.04 -7.26
O -4.31 0.74 -7.25
C -3.95 0.15 -8.50
H -5.14 -0.21 -10.30
H -5.59 -1.19 -8.89
H -6.02 1.80 -9.25
H -7.24 0.61 -8.77
H -6.21 0.32 -6.60
H -5.88 2.05 -6.88
H -3.37 0.89 -9.07
H -3.32 -0.72 -8.33
C -7.48 0.56 5.54
C -7.92 -0.70 4.81
C -7.03 -0.67 3.59
O -5.80 -0.03 3.98
C -5.99 0.58 5.26
H -7.71 0.55 6.61
H -7.96 1.43 5.09
H -7.70 -1.58 5.42
H -8.98 -0.71 4.56
H -7.47 -0.08 2.78
H -6.81 -1.68 3.21
H -5.44 -0.01 6.00
H -5.58 1.59 5.25
*
```
└──

For more information, refer to our 'Frequently Asked Questions'

Disclaimer: Forest Fire alerts generated by Forest Survey of India are based on Near Real Time fire point data processed by National Remote Sensing Centre, Hyderabad. The frequency of the alerts are dependent on satellite passes which are currently 6 times in a day (24 hours). The accuracy of the forest fire alerts are based on information of the boundary information provided by State Forest Departments. Users are encouraged to use the FAST3.0 data in conjunction with other sources of forest fire detection and not solely rely on satellite based fire alerts for tactical firefighting. For more information, please read our FAQs section.